Many young promising skaters made their debut at the 2023 Junior World Championships in Calgary, Canada. We were able to have a quick chat with Minsol Kwon from Korea who made her debut at Junior Worlds this season! She is the 2021 junior national Champion and also the silver medalist at 2022 JGP Ostrava, and bronze medalist at 2022 JGP Baltic Cup.
Minsol Kwon during the women’s short program at the 2023 Junior Worlds Championship. Photo by Gabb.
Your short program this season is Danse Macabre and your free program is a medley to Cats the musical. How did you come to choose your program music?
The choreographer (Yeaji Shin) was the one who suggested Danse Macabre, and since I also like it a lot, and it's one of the programs that Yuna performed so amazingly, I thought I would like to try it too and decided to choose it. The free skate is a program that I've been wanting to do for a while, and I also like animals a lot, so I said I wanted to do it and suggested it.
Via Minsol’s Instagram stories.
You saw Cats the musical recently too! Did it bring you inspiration for performing your program?
The gestures and expressions of the actors were very cat-like, so I saw that and thought I should try to imitate them.
Do character pieces (such as your free program Cats, and your novice programs like Snow White and Cinderella) help you embody and act in a program?
I can definitely embody programs that have a character better, I also find them easier to watch and follow.
Do you have a piece of music you would like to skate to in the future?
There isn't anything in particular. In the future, I want to do programs that suit me well.
What inspired you to skate? Tell us how you started.
After watching Yuna Kim at the Sochi Olympics I went skating with my father for the first time and started skating as a hobby. (Oh, you went to Sochi?) No. I watched it on TV.
You’ve been a flower girl for many years at domestic competitions in Korea. There are so many competitors you got to watch as a flower girl such as Young You and Yelim Kim. How did it feel competing alongside them this year at the Ranking Competition and Nationals?
It's such an honor to be able to compete against the older sisters that I like so much, I really liked being able to go to the competitions, it was really amazing.
After the ice dance free dance at the Junior Worlds Championship, Team Korea (Left to right: Jia Shin, Jinny Kim, Minsol Kwon, Yujae Kim, Namu Lee) take a photo with 2023 Junior World Champions Katerina Mrazkova and Daniel Mrazek. Photo by Gabb.
Any skaters you were excited to meet at Junior worlds?
Crystal structures, kept here for reference:
'''
This entry pairs a crystal structure of BPRhCl2 with its simulated X-ray diffraction stick pattern. Radiation: Cu Kα (weighted mean of Kα1 and Kα2). Structure: DFT lattice parameters and positions (PBE).

Principal peaks in the range 2θ = 10–90°, in order of rising 2θ:
2θ 10.13, intensity 100, hkl 0 0 1; 2θ 20.35, intensity 14, hkl 0 0 2; 2θ 30.85, intensity 10, hkl 1 1 0; 2θ 30.99, intensity 19, hkl 1 1 -1; 2θ 32.81, intensity 12, hkl 2 0 1; 2θ 33.91, intensity 8, hkl 2 0 -3; 2θ 34.44, intensity 19, hkl 1 1 -2; 2θ 40.08, intensity 8, hkl 2 0 2; 2θ 40.45, intensity 18, hkl 1 1 -3; 2θ 49.08, intensity 11, hkl 3 1 -1

Crystal structure
```
data_BPRhCl2
_chemical_formula_sum 'B2 P2 Rh2 Cl4'
_cell_length_a 6.8168
_cell_length_b 3.2489
_cell_length_c 9.2703
_cell_angle_alpha 90.00
_cell_angle_beta 109.67
_cell_angle_gamma 90.00
_symmetry_space_group_name_H-M 'C 1 m 1'
_symmetry_Int_Tables_number 8
loop_
_symmetry_equiv_pos_as_xyz
'x,y,z'
'x,-y,z'
'x+1/2,y+1/2,z'
'x+1/2,-y+1/2,z'
loop_
_atom_site_label
_atom_site_type_symbol
_atom_site_fract_x
_atom_site_fract_y
_atom_site_fract_z
_atom_site_occupancy
B1 B 0.0000 0.0000 0.0000 1
P1 P 0.3719 0.0000 0.9038 1
Rh1 Rh 0.0265 0.0000 0.7633 1
Cl1 Cl 0.1449 0.5000 0.5901 1
Cl2 Cl 0.1882 0.0000 0.1847 1
```

This entry pairs a crystal structure of Pm6Sn12Hg with its simulated X-ray diffraction stick pattern. Radiation: Cu Kα (weighted mean of Kα1 and Kα2). Structure: DFT lattice parameters and positions (PBE).

Principal peaks in the range 2θ = 10–90°, in order of rising 2θ:
2θ 23.40, intensity 16, hkl 3 0 0; 2θ 28.10, intensity 50, hkl 2 -1 3; 2θ 32.46, intensity 17, hkl 4 0 1; 2θ 32.75, intensity 22, hkl 4 -1 2; 2θ 34.18, intensity 87, hkl 0 3 3; 2θ 36.09, intensity 100, hkl 1 4 0; 2θ 36.88, intensity 50, hkl 4 -2 3; 2θ 56.42, intensity 28, hkl 5 2 3; 2θ 63.50, intensity 26, hkl 1 4 6; 2θ 67.13, intensity 20, hkl 1 7 3

Crystal structure
```
data_Pm6Sn12Hg
_chemical_formula_sum 'Pm18 Sn36 Hg3'
_cell_length_a 13.1698
_cell_length_b 13.1698
_cell_length_c 10.8740
_cell_angle_alpha 90.00
_cell_angle_beta 90.00
_cell_angle_gamma 120.00
_symmetry_space_group_name_H-M 'R -3'
_symmetry_Int_Tables_number 148
_symmetry_space_group_name_Hall '-R 3'
loop_
_atom_site_label
_atom_site_type_symbol
_atom_site_fract_x
_atom_site_fract_y
_atom_site_fract_z
_atom_site_occupancy
Pm1 Pm 0.0509 0.2045 0.2581 1
Sn1 Sn 0.0551 0.2505 0.5684 1
Sn2 Sn 0.0694 0.2287 0.9330 1
Hg1 Hg 0.0000 0.0000 0.5000 1
```

This entry pairs a crystal structure of Rb2TlV with its simulated X-ray diffraction stick pattern. Radiation: Cu Kα (weighted mean of Kα1 and Kα2). Structure: DFT lattice parameters and positions (PBE).

Principal peaks in the range 2θ = 10–90°, in order of rising 2θ:
'''
The Czech ice dance team!
This is your first international junior season. Did you enjoy it?
I'm really happy that I was able to get many good results in my first junior season. I will work hard for the next season and I hope I can get good results again.
What is your favorite memory this season?
What I liked the most was being able to go to Junior Grand Prix Final.
Do you have a favorite animal or mascot? Fans love to know what you like so that they can throw it to you on the ice!!
My favorite animal is a dog!
Lastly, if you have any message to tell to your fans?
**Unrelated to this entry: data records**
Entry 1:
NaSnI2: calculated PXRD pattern (Cu Kα, 1.54184 Å), based on a crystal structure in Alexandria, relaxed with PBE.
Neutral-atom scattering factors, no anomalous dispersion.

abc: 5.0995 8.1761 9.7742
angles: 68.17 75.90 87.70
Space group P1 (No. 1)
Symmetry-distinct sites (fractional):
Na 0.0000 0.0000 0.0000 (multiplicity 1)
Na 0.3757 0.4822 0.2610 (multiplicity 1)
Sn 0.3747 0.8733 0.6298 (multiplicity 1)
Sn 0.9456 0.9754 0.4515 (multiplicity 1)
I 0.1966 0.2251 0.6261 (multiplicity 1)
I 0.5368 0.8104 0.9487 (multiplicity 1)
I 0.8378 0.6885 0.3482 (multiplicity 1)
I 0.9339 0.2843 0.1597 (multiplicity 1)

The 10 most intense peaks (2θ = 15–90°), most intense first:
h k l	two_theta	Rel. int.
1 0 -1	22.72	100
0 1 -2	26.98	75
-1 1 1	23.25	69
1 3 0	41.05	68
1 0 2	23.51	66
-1 2 1	29.17	66
1 2 2	28.31	57
1 1 4	38.00	55
2 1 -1	43.81	46
0 3 3	37.26	45

Entry 2:
Ag2PbBr6: calculated PXRD pattern (Cu Kα, 1.54184 Å), based on a crystal structure in Alexandria, relaxed with PBE.
Neutral-atom scattering factors, no anomalous dispersion.

abc: 15.1235 12.8851 7.1031
angles: 90.00 103.45 90.00
Space group C2/c (No. 15)
Symmetry-distinct sites (fractional):
Ag 0.2039 0.1114 0.0326 (multiplicity 8)
Pb 0.0000 0.4059 0.2500 (multiplicity 4)
Br 0.1093 0.4283 0.6620 (multiplicity 8)
Br 0.1279 0.0325 0.2884 (multiplicity 8)
Br 0.2096 0.2958 0.2034 (multiplicity 8)

The 10 most intense peaks (2θ = 15–90°), most intense first:
h k l	two_theta	Rel. int.
1 1 1	16.86	100
3 1 0	19.37	90
3 3 -1	28.68	88
2 2 -1	20.73	81
4 2 1	33.20	66
5 1 -2	35.86	61
0 0 2	25.83	53
4 2 -3	43.57	41
2 4 2	42.09	39
1 3 -3	43.76	37

Entry 3:
Ba2HgH6Au: calculated PXRD pattern (Cu Kα, 1.54184 Å), based on a crystal structure in Alexandria, relaxed with PBE.
Neutral-atom scattering factors, no anomalous dispersion.

abc: 8.3523 8.3625 5.9517
angles: 90.00 134.43 90.00
Space group C2/m (No. 12)
Symmetry-distinct sites (fractional):
Ba 0.0000 0.2501 0.0000 (multiplicity 4)
Hg 0.0000 0.0000 0.5000 (multiplicity 2)
H 0.0000 0.2784 0.5000 (multiplicity 4)
H 0.2211 0.5000 0.4995 (multiplicity 4)
H 0.2233 0.5000 0.9464 (multiplicity 4)
Au 0.0000 0.5000 0.5000 (multiplicity 2)

The 10 most intense peaks (2θ = 15–90°), most intense first:
h k l	two_theta	Rel. int.
2 0 0	29.99	100
2 2 -1	30.25	49
2 4 0	53.55	30
2 2 1	53.08	20
0 4 0	43.30	19
6 2 -3	71.37	11
0 0 2	42.54	10
4 2 -3	53.63	10
4 0 0	62.29	10
2 6 1	86.74	8

Entry 4:
NaSc3P8H14O24: calculated PXRD pattern (Cu Kα, 1.54184 Å), based on a crystal structure in Alexandria, relaxed with PBE.
Neutral-atom scattering factors, no anomalous dispersion.

abc: 7.5886 9.6662 9.6912
angles: 115.31 101.06 100.79
Space group P-1 (No. 2)
Symmetry-distinct sites (fractional):
Na 0.0000 0.0000 0.0000 (multiplicity 1)
Sc 0.0000 0.5000 0.5000 (multiplicity 1)
Sc 0.4968 0.2225 0.7650 (multiplicity 2)
P 0.2089 0.8445 0.4791 (multiplicity 2)
P 0.2226 0.3774 0.0108 (multiplicity 2)
P 0.2960 0.2495 0.4229 (multiplicity 2)
P 0.3140 0.7663 0.8753 (multiplicity 2)
(Interviewer note: I feel like her message was too cute to not include as an audio file! Take a listen for yourself on what Minsol wants to tell her fans!)
Thanks to Minsol for taking the time to talk to us! You can follow her on Instagram at @minsol_kwon_!